The GrübelSound smash hit KATZE ERKENNEN probably still resonates where it was heard. So also me as the main responsible person. In the song lyrics it is not least the concluding lines, …
Then you do not go swimming Without a balloon And if it says SPD on it who cares?
… which make me feel a certain melancholy. As Rock’n’Roll Commissioner under Federal President Walter Scheel (FDP), I always maintained a friendly relationship with the coalition partner.
Federal President Walter Scheel (1919–2016) CC BY-SA 3.0 Bundesarchiv
My attempt at differentiation, however, remained somewhat half-hearted: In the shallows of the present website, I also gave out a text alternative against the big competitor on a trial basis at the point just mentioned:
Then probably not much helps except a lot of rubbish and you put your hope in the CDU
A certain relaxation sets in when I register the comparatively rude methods currently used by legal scholar Christoph Möllers in the magazine MERKUR to address the Social Democrats’ dwindling voter base:
In other words, it is not clear whether the decline of social democratic parties following certain pro-business reform policies was also caused by them.
This connection will probably go down in history as the Wikihausen trilemma: To assume that economic unfriendliness is a necessary consequence of political alternatives would be just as frivolous as abandoning social revolutionary pathos altogether.
Olaf Scholz’s observation will have to become more acute from this point of view.
RAMMSTEIN keyboardist FLAKE devotes this episode of his radio-eins podcast “Des Tastenfickers Podcast” to the smiling side of his guild and calls it “humor music”.
It’s good that we can quickly get an overview of what has happened so far.
Note: At 35:30 min. Flake mentions that the COMEDIAN HARMONISTS were banned by the Nazis in 1927. The formation existed 1928-1935.
In this talk (in German) with preface from The Producer Network channel, we hear from Simon Semrau a fairly condensed summary of what marketing for music on streaming platforms and social networks means today.
At the 2nd International DADA Fair in the free art space GISELA (🐻 Berlin-Lichtenberg) has the 🖼 visual work of Konrad GRÜBELBACH in the art context premiere until Mar 8, 2021. The digital collage “R” has even made it to the poster motif of the exhibition. 🙂
The Great DADAsopher (Gerhard Zaucker, Instagram: @gerhardzaucker) gives himself the honor and me from his point of view information on the contemporary theme of the 😷 mask in connection with the continuation of DADA.
**Unrelated to this piece: records of crystals:**
'''
Structure and computed XRD peak list of RbCd8Au2 (DFT lattice parameters and positions (GGA-PBE); Cu Kα (λ = 1.5418 Å)).
Neutral-atom scattering factors, no anomalous dispersion.

Peak list (12 most intense, 2θ = 10–90°, in order of rising 2θ)
(1 1 1), 2θ = 22.45°, intensity 51.8; (1 1 3), 2θ = 33.48°, intensity 19.2; (2 0 2), 2θ = 34.32°, intensity 100.0; (2 0 3), 2θ = 39.69°, intensity 68.7; (2 2 0), 2θ = 42.10°, intensity 42.7; (2 2 1), 2θ = 43.06°, intensity 17.8; (3 1 1), 2θ = 48.23°, intensity 13.9; (4 0 0), 2θ = 61.06°, intensity 13.8; (2 2 5), 2θ = 62.60°, intensity 17.7; (4 2 2), 2θ = 71.95°, intensity 22.4; (4 2 3), 2θ = 75.32°, intensity 20.1; (2 0 8), 2θ = 81.39°, intensity 15.4

Atomic structure:
```
RbCd8Au2
1.0
6.071 0.000 0.000
0.000 6.071 0.000
0.000 0.000 10.270
Rb Cd Au
1 8 2
Direct
0.000 0.000 0.000 Rb
0.251 0.251 0.312 Cd
0.251 0.251 0.688 Cd
0.251 0.749 0.312 Cd
0.251 0.749 0.688 Cd
0.749 0.251 0.312 Cd
0.749 0.251 0.688 Cd
0.749 0.749 0.312 Cd
0.749 0.749 0.688 Cd
0.000 0.500 0.500 Au
0.500 0.000 0.500 Au
```


For PrHo5In2, a structure optimized by DFT (PBE) gives the computed XRD peak list in this record (a wavelength of 1.5418 Å).

Principal peaks in the range 2θ from 10° to 90°, most intense first:
2θ 32.91, I = 1000; 2θ 30.92, I = 904; 2θ 32.56, I = 611; 2θ 34.27, I = 399; 2θ 48.00, I = 328; 2θ 61.71, I = 326; 2θ 59.55, I = 264; 2θ 50.62, I = 189

Atomic structure:
abc: 8.442 8.442 8.442
angles: 155.33 103.38 81.94
Fractional coordinates of all 8 atoms:
Pr: 0.000 0.000 0.000
Ho: 0.139 0.365 0.774
Ho: 0.409 0.635 0.774
Ho: 0.500 0.000 0.500
Ho: 0.591 0.365 0.226
Ho: 0.861 0.635 0.226
In: 0.242 0.742 0.500
In: 0.758 0.258 0.500
'''
**So much for the records of crystals:**
Here is another serious video on the entire exhibition from the GISELA team (Instagram: @gisela_freier_kunstraum):
Normally, what applies to all modern corporations of this type applies to 🎵 GrübelSound: strict secrecy is essential. But sometimes you have to get out with it. So in a Corona-battered December 2020, it’s the likeable young traditional label that presents its statistics in an 💻 online conference.
The evaluation in a 📊 diagram throws a spotlight on the current situation in the 🔗 social networks. Konrad GRÜBELBACH and his label GrübelSound are not exactly unaffected.
The driving force is clearly 🟠 Instagram with a good 400 subscribers. As if 🃏 magically, the values of the other two major platforms have rounded off at the same time: 🐤 Twitter to 300, 🔵 Facebook to 100.
It is known that 🟠 Instagram is growing and users are very active. There are very many, not least from the music sector, who present their own creative projects. 🐤 Twitter is weaker in Germany than in other countries – wrongly so, if you’re interested in the possibilities. Where else are there such chances to be found directly under #hashtags, per click even without sorting by algorithms according to news?
🔵 Facebook scores with 💬 thematic groups, in which 🎭 music and satire videos for 🎸 GRÜBELBACH could be reached the most so far. 🎞🟥 YouTube, on the other hand, seems hopelessly overcrowded and can only be proven at all for GrübelSound with complicated computational methods. In addition, Facebook subscribers are on average not as animated to follow compared to the bandwagon horse Instagram – either due to a lack of interest or also influenced by the fact that the 🔲 interface is somewhat more sober and the subscribe button is two clicks away, while on Instagram it is provided with the legible ☑️ appeal “Subscribe” after just one click. The Facebook 👍 Like is known to be a ♥️ heart on Instagram – more intuitive, ‘one’ would probably say.
Konrad GRÜBELBACH, as 📀 label head also his own boss, thanked an unknown crowd of 📰📺📻 journalists in the tele-conference, which could now become a regular habit in the 🗓 diary of the stressed 💻🌎 metropolis Internet. Grübelbach of the further:
My thanks go first and foremost to the numerous participants in the 🔗 social networks, who could convince themselves of 🎵 GrübelSound productions. We take this as an opportunity to work even harder in the future for unhinged to abysmal entertainment.